Here is a geometry-optimized MnNb3O structure from Alexandria. Energies are from GGA+U.

Cell: 4.5610 4.5610 4.5610 Å, 90.00 90.00 90.00°
Last column: nearest neighbours and their distance in Å.
Space group Pm-3m (No. 221)
Symmetry-distinct sites (fractional):
Mn 0.0000 0.0000 0.0000 [1 per cell]  6 Nb 2.28
Nb 0.0000 0.0000 0.5000 [3 per cell]  2 Mn 2.28
O 0.5000 0.5000 0.5000 [1 per cell]  12 Nb 3.23

Output
The volume is 18.98 A^3/atom. The calculated total energy is -6.819 eV/atom. Its crystal system is cubic.

* * * * *

(a)
This record from Alexandria describes an optimized crystal structure of Cu3AsF. The functional is PBE-GGA.

Symmetry   Pm-3m

The structure in extended XYZ format:
```
5
Lattice="4.517 0.000 0.000 0.000 4.517 0.000 0.000 0.000 4.517" Properties=species:S:1:pos:R:3 pbc="T T T"
Cu 0.000 0.000 2.258
Cu 0.000 2.258 0.000
Cu 2.258 0.000 0.000
As 0.000 0.000 0.000
F 2.258 2.258 2.258
```



(b)
This record from Alexandria describes an optimized crystal structure of Cu3AsF. The functional is PBE-GGA.

Symmetry   Pm-3m

The structure in extended XYZ format:
```
5
Lattice="4.148 0.000 0.000 0.000 4.148 0.000 0.000 0.000 4.148" Properties=species:S:1:pos:R:3 pbc="T T T"
Cu 0.000 0.000 2.074
Cu 0.000 2.074 0.000
Cu 2.074 0.000 0.000
As 2.074 2.074 2.074
F 0.000 0.000 0.000
```



Most stable structure: (b)



(a)
This record from Alexandria describes an optimized crystal structure of CuAs3F. The functional is PBE-GGA.

Symmetry   Pm-3m

The structure in extended XYZ format:
```
5
Lattice="4.510 0.000 0.000 0.000 4.510 0.000 0.000 0.000 4.510" Properties=species:S:1:pos:R:3 pbc="T T T"
Cu 0.000 0.000 0.000
As 0.000 2.255 2.255
As 2.255 0.000 2.255
As 2.255 2.255 0.000
F 2.255 2.255 2.255
```



(b)
This record from Alexandria describes an optimized crystal structure of CuAs3F. The functional is PBE-GGA.

Symmetry   Pm-3m

The structure in extended XYZ format:
```
5
Lattice="4.672 0.000 0.000 0.000 4.672 0.000 0.000 0.000 4.672" Properties=species:S:1:pos:R:3 pbc="T T T"
Cu 0.000 0.000 0.000
As 0.000 0.000 2.336
As 0.000 2.336 0.000
As 2.336 0.000 0.000
F 2.336 2.336 2.336
```



Most stable structure: (b)



(a)
This record from Alexandria describes an optimized crystal structure of CuAsSe2F. The functional is PBE-GGA.

Symmetry   P4/mmm

The structure in extended XYZ format:
```
5
Lattice="4.662 0.000 0.000 0.000 4.662 0.000 0.000 0.000 4.785" Properties=species:S:1:pos:R:3 pbc="T T T"
Cu 0.000 0.000 0.000
As 0.000 0.000 2.393
Se 0.000 2.331 0.000
Se 2.331 0.000 0.000
F 2.331 2.331 2.393
```



(b)
This record from Alexandria describes an optimized crystal structure of CuAsSe2F. The functional is PBE-GGA.

Symmetry   P4/mmm

The structure in extended XYZ format:
```
5
Lattice="4.942 0.000 0.000 0.000 4.942 0.000 0.000 0.000 4.060" Properties=species:S:1:pos:R:3 pbc="T T T"
Cu 0.000 0.000 0.000
As 2.471 2.471 0.000
Se 0.000 2.471 2.030
Se 2.471 0.000 2.030
F 2.471 2.471 2.030
```



Most stable structure: (a)

* * * * *

1.
This record from Alexandria describes an optimized crystal structure of Ru4Br. The functional is PBE-GGA.

Properties
* ρ: 8.8 g cm⁻³
* DOS at the Fermi energy: 9.8 states/eV per cell
* size of the total moment: 4.42 μB per formula unit
* formation energy from raw total energies: 1.89 eV/atom
* symmetry: Pm-3m (221)

Unit cell a=4.508 b=4.508 c=4.508 alpha=90.00 beta=90.00 gamma=90.00
Positions (direct):
Ru1 0.000 0.000 0.000
Ru2 0.000 0.500 0.500
Ru3 0.500 0.000 0.500
Ru4 0.500 0.500 0.000
Br1 0.500 0.500 0.500

***

2.
This record from Alexandria describes an optimized crystal structure of BeAg2Pt. The functional is PBE-GGA.

Properties
* ρ: 12.0 g cm⁻³
* DOS at the Fermi energy: 1.4 states/eV per cell
* formation energy: 0.3 eV/f.u.
* size of the total moment: 0.00 μB per formula unit
* symmetry: P4/mmm (123)

Unit cell a=2.896 b=2.896 c=6.950 alpha=90.00 beta=90.00 gamma=90.00
Positions (direct):
Be1 0.000 0.000 0.000
Ag1 0.500 0.500 0.212
Ag2 0.500 0.500 0.788
Pt1 0.000 0.000 0.500

***

Copy everything above without altering anything.

Here is a geometry-optimized MnNb3O structure from Alexandria. Energies are from GGA+U.

Cell: 4.5610 4.5610 4.5610 Å, 90.00 90.00 90.00°
Last column: nearest neighbours and their distance in Å.
Space group Pm-3m (No. 221)
Symmetry-distinct sites (fractional):
Mn 0.0000 0.0000 0.0000 [1 per cell]  6 Nb 2.28
Nb 0.0000 0.0000 0.5000 [3 per cell]  2 Mn 2.28
O 0.5000 0.5000 0.5000 [1 per cell]  12 Nb 3.23

Output
The volume is 18.98 A^3/atom. The calculated total energy is -6.819 eV/atom. Its crystal system is cubic.

* * * * *

(a)
This record from Alexandria describes an optimized crystal structure of Cu3AsF. The functional is PBE-GGA.

Symmetry   Pm-3m

The structure in extended XYZ format:
```
5
Lattice="4.517 0.000 0.000 0.000 4.517 0.000 0.000 0.000 4.517" Properties=species:S:1:pos:R:3 pbc="T T T"
Cu 0.000 0.000 2.258
Cu 0.000 2.258 0.000
Cu 2.258 0.000 0.000
As 0.000 0.000 0.000
F 2.258 2.258 2.258
```



(b)
This record from Alexandria describes an optimized crystal structure of Cu3AsF. The functional is PBE-GGA.

Symmetry   Pm-3m

The structure in extended XYZ format:
```
5
Lattice="4.148 0.000 0.000 0.000 4.148 0.000 0.000 0.000 4.148" Properties=species:S:1:pos:R:3 pbc="T T T"
Cu 0.000 0.000 2.074
Cu 0.000 2.074 0.000
Cu 2.074 0.000 0.000
As 2.074 2.074 2.074
F 0.000 0.000 0.000
```



Most stable structure: (b)



(a)
This record from Alexandria describes an optimized crystal structure of CuAs3F. The functional is PBE-GGA.

Symmetry   Pm-3m

The structure in extended XYZ format:
```
5
Lattice="4.510 0.000 0.000 0.000 4.510 0.000 0.000 0.000 4.510" Properties=species:S:1:pos:R:3 pbc="T T T"
Cu 0.000 0.000 0.000
As 0.000 2.255 2.255
As 2.255 0.000 2.255
As 2.255 2.255 0.000
F 2.255 2.255 2.255
```



(b)
This record from Alexandria describes an optimized crystal structure of CuAs3F. The functional is PBE-GGA.

Symmetry   Pm-3m

The structure in extended XYZ format:
```
5
Lattice="4.672 0.000 0.000 0.000 4.672 0.000 0.000 0.000 4.672" Properties=species:S:1:pos:R:3 pbc="T T T"
Cu 0.000 0.000 0.000
As 0.000 0.000 2.336
As 0.000 2.336 0.000
As 2.336 0.000 0.000
F 2.336 2.336 2.336
```



Most stable structure: (b)



(a)
This record from Alexandria describes an optimized crystal structure of CuAsSe2F. The functional is PBE-GGA.

Symmetry   P4/mmm

The structure in extended XYZ format:
```
5
Lattice="4.662 0.000 0.000 0.000 4.662 0.000 0.000 0.000 4.785" Properties=species:S:1:pos:R:3 pbc="T T T"
Cu 0.000 0.000 0.000
As 0.000 0.000 2.393
Se 0.000 2.331 0.000
Se 2.331 0.000 0.000
F 2.331 2.331 2.393
```



(b)
This record from Alexandria describes an optimized crystal structure of CuAsSe2F. The functional is PBE-GGA.

Symmetry   P4/mmm

The structure in extended XYZ format:
```
5
Lattice="4.942 0.000 0.000 0.000 4.942 0.000 0.000 0.000 4.060" Properties=species:S:1:pos:R:3 pbc="T T T"
Cu 0.000 0.000 0.000
As 2.471 2.471 0.000
Se 0.000 2.471 2.030
Se 2.471 0.000 2.030
F 2.471 2.471 2.030
```



Most stable structure: (a)

* * * * *

1.
This record from Alexandria describes an optimized crystal structure of Ru4Br. The functional is PBE-GGA.

Properties
* ρ: 8.8 g cm⁻³
* DOS at the Fermi energy: 9.8 states/eV per cell
* size of the total moment: 4.42 μB per formula unit
* formation energy from raw total energies: 1.89 eV/atom
* symmetry: Pm-3m (221)

Unit cell a=4.508 b=4.508 c=4.508 alpha=90.00 beta=90.00 gamma=90.00
Positions (direct):
Ru1 0.000 0.000 0.000
Ru2 0.000 0.500 0.500
Ru3 0.500 0.000 0.500
Ru4 0.500 0.500 0.000
Br1 0.500 0.500 0.500

***

2.
This record from Alexandria describes an optimized crystal structure of BeAg2Pt. The functional is PBE-GGA.

Properties
* ρ: 12.0 g cm⁻³
* DOS at the Fermi energy: 1.4 states/eV per cell
* formation energy: 0.3 eV/f.u.
* size of the total moment: 0.00 μB per formula unit
* symmetry: P4/mmm (123)

Unit cell a=2.896 b=2.896 c=6.950 alpha=90.00 beta=90.00 gamma=90.00
Positions (direct):
Be1 0.000 0.000 0.000
Ag1 0.500 0.500 0.212
Ag2 0.500 0.500 0.788
Pt1 0.000 0.000 0.500

***